Gen X: The Sellingest Sellouts of Salesville

┌──
The following is a DFT calculation (the ωB97M-V functional and the def2-TZVPD basis) of a single C3H3BrF2O molecule in a non-equilibrium geometry.

Summary:
Energy relative to the best compared isomer or geometry (same formula, charge and spin) ... 112.4 kcal/mol
Max |F| ... 2.86 eV/Å
E ... -2964.909184 a.u.
HOMO (alpha / beta) ... -9.50 / -9.35 eV

Last column: Mulliken charge in e.
CARTESIAN COORDINATES (ANGSTROEM)
Br 0.3823 -3.0917 -1.6978  0.014
F -0.0553 -0.8969 -3.3433  -0.169
F 1.9421 -0.9242 -2.7255  -0.183
O -0.5536 -2.0918 0.1469  -0.528
C 0.6723 -1.2793 -2.3453  0.374
C 0.5017 -0.0013 0.3727  -0.621
C -0.5373 -0.8556 -0.0657  0.121
H -1.3048 -0.3829 -0.8091  0.337
H 0.3876 0.9431 0.0067  0.355
H 1.4203 -0.2647 0.9226  0.301

* * * * *

Entry from the OMol25 dataset: 2 unconnected molecules or ions with the total composition C19H23N2O at a distorted geometry (wB97M-V/def2-TZVPD).

Charge ... +1
HOMO ... -10.45 eV
Energy above the lowest of the compared OMol25 structures with the same formula, charge and spin ... 426.96 kJ/mol
HOMO-LUMO gap ... 5.2 eV

Geometry as XYZ:
```
45
C19H23N2O wB97M-V/def2-TZVPD
C -2.353 0.765 2.643
C -2.310 -0.763 2.480
C -0.864 -1.152 2.171
N -0.141 0.105 2.154
N 1.101 0.121 1.820
C 1.907 1.113 1.650
C -0.923 1.290 2.444
H -3.022 1.213 1.900
H -2.713 1.041 3.640
H -2.634 -1.269 3.393
H -2.953 -1.095 1.661
H -0.437 -1.830 2.928
H -0.761 -1.672 1.205
H 2.774 0.886 1.020
H 1.707 2.136 2.016
H -0.871 2.035 1.630
H -0.547 1.800 3.350
C 6.746 -1.610 -3.843
O 6.194 -2.115 -2.610
C 5.908 -1.246 -1.608
C 5.146 -1.739 -0.514
C 4.749 -0.897 0.490
C 5.151 0.478 0.523
C 4.680 1.308 1.581
C 5.044 2.675 1.779
C 5.157 3.149 3.115
C 5.558 4.452 3.376
C 5.849 5.332 2.322
C 5.722 4.892 0.997
C 5.271 3.600 0.720
C 6.045 0.906 -0.502
C 6.370 0.094 -1.573
H 6.803 -2.491 -4.481
H 6.088 -0.854 -4.298
H 7.750 -1.186 -3.692
H 4.869 -2.793 -0.515
H 4.108 -1.266 1.294
H 4.278 0.795 2.457
H 4.923 2.456 3.926
H 5.646 4.788 4.410
H 6.186 6.350 2.536
H 5.968 5.562 0.173
H 5.062 3.308 -0.311
H 6.478 1.906 -0.466
H 6.994 0.473 -2.388
```

* * * * *

--- P ---
C6H15NO | ωB97M-V/def2-TZVPD

Last column: Mulliken charge in e.
Geometry (Å):
C (0.713, 1.185, -2.783)  -0.9947
C (-0.126, 1.214, -1.741)  -0.0321
C (-1.089, 0.174, -1.347)  -0.3941
C (-1.757, 0.269, 0.181)  -0.8144
N (-0.764, 0.332, 1.244)  -0.2851
C (-0.145, -0.999, 1.451)  0.0274
C (0.284, -1.061, 2.916)  -1.3510
H (1.118, 2.137, -3.114)  0.2742
H (1.115, 0.392, -3.384)  0.2948
H (-0.149, 2.205, -1.255)  0.2978
H (-0.659, -0.814, -1.132)  0.2046
H (-1.857, -0.049, -2.070)  0.4523
H (-2.396, -0.620, 0.208)  0.3742
H (-2.324, 1.222, 0.209)  0.3613
H (-0.040, 1.051, 1.161)  0.2691
H (0.716, -1.171, 0.770)  -0.0422
H (-0.888, -1.781, 1.289)  0.3561
H (1.198, -0.448, 3.139)  0.2886
H (-0.458, -0.702, 3.616)  0.3638
H (0.570, -2.063, 3.237)  0.3813
O (2.610, -0.362, -0.791)  -0.6582
H (2.600, 0.593, -0.885)  0.3546
H (1.729, -0.705, -0.920)  0.2715

Computed properties:
└──

Francisco McGuire
The Pub
Published in
4 min readJul 1, 2023
The dream of the 90’s ain’t dead…yet

I think I am getting beyond the anger phase; maybe.

I am not fully the judge sitting proudly in my Fugazi t-shirt, ready to pounce with my late stage capitalism, my dollar ‘zine, and bikes man, fucking ride your bike! Yes, a part of me is that guy; but I have come to a stable state of disappointment, and I know that beyond this phase is acceptance. I am getting there.

But I’m still not quite over your bullshit Gen X; the ten minute flex/lecture on organic cloth diapers, your lifelong laziness coupled with your new found passion in being a “maker”. Yet still searching for the perfect thing to make, in the perfect location, and also lucrative, gotta be lucrative as well. So yeah, it’s still- eat shit poser. If you want to add a u, well…of course you do.

Some time ago I sat in my friends vintage modern living room, we were two middle aged white dudes, high as hell and sipping beers at 4 pm on a winter afternoon. I was listening to my buddy describe his experiences in his ayahuasca Christian church, his path to enlightenment. Enjoying a cozy visit with an old friend, as you do.

The tenant of my friends third floor apartment arrived after a while, and she had some questions. Chiefly, why am I freezing my ass off, and why is wind whistling through the window frames? The response from krishna bro, was to present the answer in the form of a box of shrinky-dink clear window film, to be applied with a hair dryer for maximum efficiency. Next came, the words, the definition of cringe- “Do you think that’s something you could ya’ know, handle?” Put a little upspeak on the end and you are right there dear reader.

Jesus H trippin’ balls Christ, yikes! The little sexist challenge, the gaslighting of a completely bullshit solution. I am certain that little box (even if that shit worked, which it doesn’t) wasn’t even close to being sufficient for the numerous, giant antique windows, it’s basic math. It was then that I knew, Gen X whatever it may have once meant, was nothing to be proud of today. We were the dickbags now, the shitty landlords, the mid- level managers getting along to go along, whelp- turns out daddy likes his crossfit instructor more than Mommy, objectively shitty humans.

I said nothing, I did not stick up for the rights of the renter, for I am a sell out too. I was visiting from out of town, I didn’t want to kill my buzz, his wife and kids would be home soon, yada, McYada. Not punk at all.

[What comes next are records of molecules, not part of the article]
____________
1.
21
Properties=species:S:1:pos:R:3:forces:R:3 method="wB97M-V/def2-TZVPD" mol_weight_g_mol=121.140 e_above_lowest_kcal_mol=33.5 lumo_ha="-0.113 / -0.303" charge=+1 homo_lumo_gap_ev="6.835 / 7.651" energy_ev=-16735.8821 multiplicity=3
C 1.9509 1.3608 -0.3858 1.2 -0.8 1.1
C -2.6076 0.9613 0.0362 4.2 0.4 -1.6
C 0.6772 -0.7936 1.6797 0.1 0.8 -0.4
C 1.3986 0.0767 -1.0746 0.6 1.4 2.2
C -2.0758 -0.4380 -0.2636 -5.4 1.9 2.0
O 0.2885 -2.2805 -0.4932 -1.0 -0.7 0.4
P 0.1077 -0.7753 -0.0925 4.1 1.8 1.4
H 3.0306 1.1759 -0.0150 -1.8 0.2 -0.6
H 2.0023 2.2068 -1.0503 -0.2 0.2 -0.2
H 1.3548 1.6115 0.4986 0.1 0.3 -0.2
H -2.2985 1.3798 1.0145 0.5 -0.3 -0.4
H -2.0911 1.6091 -0.8616 -2.2 -0.9 2.2
H -3.6617 0.9640 0.2116 -1.1 0.1 -1.0
H 1.7388 -0.5375 1.4826 -0.4 0.0 0.3
H 0.6757 -1.7907 2.1120 -0.4 0.1 0.2
H 0.1979 0.0311 2.2777 0.4 -1.2 -0.5
H 2.1836 -0.6012 -1.0051 1.5 -1.6 -0.8
H 1.0708 0.2989 -2.0303 -0.6 0.0 -2.0
H -2.3313 -0.7717 -1.1966 -0.1 -0.9 -2.7
H -2.2981 -1.1542 0.4827 0.3 -1.1 1.1
H 0.6864 -2.5333 -1.3270 0.0 0.0 -0.6

2.
81
Properties=species:S:1:pos:R:3:forces:R:3 method="wB97M-V/def2-TZVPD" mol_weight_g_mol=716.711 smiles="O=S1(=O)OCCO1.O=S1(=O)OCCO1.O=S1(=O)OCCO1.O=C1CCCO1.O=C1CCCO1.O=C1CCCO1.O=C1CCCO1" lumo_ha=0.007 charge=0 homo_lumo_gap_ev=9.986 energy_ev=-96849.4761 multiplicity=1
O -8.9034 7.6393 7.9601 -1.1 0.6 -1.1
S -10.0351 8.1821 7.2409 -0.7 1.4 0.7
O -10.4064 7.7438 5.9291 0.7 0.5 1.2
O -11.3255 8.0745 8.2194 0.7 -1.2 -0.6
C -11.6259 9.3015 8.8496 -0.5 0.7 0.8
C -10.3790 10.1589 8.7003 0.1 -0.9 -0.8
O -10.0522 9.8532 7.3182 0.7 -1.6 -0.8
H -12.4955 9.7047 8.3230 0.2 0.4 0.0
H -11.9171 9.1267 9.8874 0.2 -0.2 -0.1
H -9.5042 9.7915 9.2388 -0.4 0.3 0.7
H -10.5419 11.2233 8.8237 0.1 0.0 -0.2
O -9.8827 11.2074 12.6090 0.9 -0.6 0.2
S -8.6768 10.5120 12.2866 2.1 -1.5 0.8
O -7.9715 10.8458 11.0791 -0.5 -0.1 0.6
O -7.5847 10.4529 13.5218 -1.1 0.9 0.2
C -6.7372 9.2906 13.3729 -1.0 -0.3 -2.0
C -7.6706 8.2763 12.6642 1.2 -1.1 0.3
O -8.8762 8.9058 12.3548 -1.7 1.7 -0.9
H -5.9647 9.5850 12.6666 0.4 -0.1 0.4
H -6.3698 8.7520 14.2395 0.0 1.2 0.7
H -7.9314 7.4624 13.3410 0.1 -0.1 -0.1
H -7.1614 7.8834 11.7818 -0.4 -0.1 -0.1
O -7.1248 5.4164 10.9520 -1.3 -0.5 -0.3
S -7.5309 4.0455 10.7866 0.3 0.3 0.4
O -6.8616 3.1332 11.6602 -0.7 -0.2 -1.1
O -9.1211 3.7352 10.8379 1.1 0.1 0.9
C -9.7586 3.9470 9.5610 -0.2 1.4 1.3
C -8.6159 4.2274 8.5867 -1.1 -1.1 -1.0
O -7.4604 3.7013 9.2281 1.0 0.1 0.4
H -10.4146 3.1049 9.3594 0.3 -0.1 -0.1
H -10.3306 4.8534 9.7727 -0.4 -0.2 -0.7
H -8.6100 5.2691 8.2733 0.7 0.1 0.4
H -8.7663 3.6027 7.7073 0.2 0.2 -0.1
O -5.7890 5.0429 15.6518 -0.5 -0.2 -0.2
C -6.9617 4.7832 15.5822 1.4 -0.3 0.6
C -7.6009 3.4062 15.4060 -0.8 1.2 0.4
C -9.0500 3.7908 15.1630 -0.7 0.3 -2.3
C -9.2252 5.2496 15.6296 0.9 -1.1 0.6
O -7.8799 5.7584 15.6880 -0.5 0.2 0.1
H -7.0762 2.9129 14.5946 -0.2 -0.3 0.1
H -7.6408 2.8510 16.3433 1.0 -0.1 0.0
H -9.2547 3.8959 14.0896 0.2 -0.6 -0.1
H -9.7718 3.0635 15.5266 -0.1 0.2 0.3
H -9.7182 5.8728 14.8912 -0.6 0.0 0.4
____________
[So much for the records of molecules]

That little scene wouldn’t have gone unchecked by 90s me, because sometimes we need our friends to tell us when we are behaving poorly, sometimes we have a responsibility to berate. My little excuses follow the same logic as the big ones of my generation. We choose comfort, we avoid confrontation, we do what makes us feel good. This is fact. It’s just plain responsible to make sure our children have a Brazilian soccer coach. Tesla’s don’t grow on trees. If I don’t benefit- somebody else will! It’s business.

### These quantum chemistry results were left in the piece by mistake
-- begin --
{
  "formula": "FHNO2S",
  "method": "ωB97M-V/def2-TZVPD",
  "species": ["N", "O", "O", "F", "S", "H"],
  "xyz": [[0.705, -0.610, -0.373], [-0.463, 1.440, 0.660], [-1.769, 0.302, -1.082], [1.103, -1.621, 0.425], [-0.995, 0.113, 0.156], [1.418, 0.376, 0.213]],
  "relative_energy_ev": 3.367,
  "total_energy_ev": -19151.8259,
  "e_homo_ev": -3.651,
  "charge": -1
}

{
  "formula": "C2H5Cl2NOS",
  "method": "ωB97M-V/def2-TZVPD",
  "species": ["C", "C", "N", "O", "S", "Cl", "Cl", "H", "H", "H", "H", "H"],
  "xyz": [[-0.058, 0.710, 0.189], [0.697, -0.070, 1.194], [1.315, -0.893, -1.708], [-2.113, 1.071, -1.233], [-1.620, -0.003, -0.439], [1.693, -1.304, -0.200], [-2.520, -0.174, 1.480], [-0.280, 1.863, 0.380], [0.552, 0.629, -0.838], [0.248, -0.743, 1.759], [1.433, 0.404, 1.649], [0.654, -1.490, -2.234]],
  "relative_energy_ev": 3.804,
  "total_energy_ev": -41567.3473,
  "e_homo_ev": [-9.236, -9.237],
  "charge": 0
}

{
  "formula": "C48H66FN7O3P",
  "method": "ωB97M-V/def2-TZVPD",
  "species": ["C", "C", "P", "C", "C", "N", "C", "C", "C", "C", "C", "C", "C", "C", "C", "C", "C", "O", "C", "C", "F", "C", "O", "O", "H", "H", "H", "H", "H", "H", "H", "H", "H", "H", "H", "H", "H", "H", "H", "H", "H", "H", "H", "H", "H", "H", "H", "H", "H", "H", "H", "H", "H", "H", "H", "H", "H", "H", "H", "H", "N", "C", "C", "C", "C", "C", "H", "H", "H", "H", "H", "N", "C", "C", "C", "C", "C", "H", "H", "H", "H", "H", "N", "C", "C", "C", "C", "C", "H", "H", "H", "H", "H", "N", "C", "C", "C", "C", "C", "H", "H", "H", "H", "H", "N", "C", "C", "C", "C", "C", "H", "H", "H", "H", "H", "N", "C", "C", "C", "C", "C", "H", "H", "H", "H", "H"],
-- stop --

I understand that we are free to chose our own path, and that imposing my preferences on others is unfair. It is no crime live as you wish, we all take our pleasures. I too am a hypocrite, I have flaws, I can do better.

What is deeply troublesome amongst my generation however, is the tendency towards self-image actualization. I do believe we have an obligation as humans with free will to work towards authentic self actualization. To try and move beyond our curated and filtered self.

Doing all the things, following the cultural zeitgeist of what it means to be a good person, and to simply restate the ideas of others as our own is nothing more than self image creation. It is a dangerous to live within a myth, and we as members of Generation X were sharply and explicitly warned.

Further reading:

